Listing
Version a
ORCA calculation (ωB97M-V/def2-TZVPD) on a gas-phase ion, C5H13N2O (charge +1).

Computed properties:
Molar mass, Da: 117.2
SMILES: C[C@H](C=O)NCC[NH3+]
LUMO, Ha: -0.131
HOMO level, eV: -13.4
Kohn-Sham gap, eV: 9.85

Structure (ORCA input):
```
! wB97M-V def2-TZVPD RIJCOSX def2/J DEFGRID3
* xyz 1 1
C 0.07 -0.31 -2.53
C 0.53 0.67 -1.45
C 1.76 0.26 -0.65
O 2.10 -0.88 -0.47
N -0.40 1.01 -0.34
C -0.95 -0.24 0.27
C -1.11 -0.01 1.76
N 0.17 -0.39 2.50
H 0.53 -1.29 -2.39
H -1.01 -0.32 -2.54
H 0.41 0.01 -3.51
H 0.80 1.61 -1.92
H 2.31 1.12 -0.21
H -1.20 1.47 -0.77
H -1.88 -0.54 -0.20
H -0.17 -1.00 0.18
H -1.30 1.03 2.02
H -1.96 -0.54 2.21
H 0.42 0.35 3.15
H 0.90 -0.73 1.87
H 0.00 -1.26 3.01
*
```

---

Version b
ORCA calculation (ωB97M-V/def2-TZVPD) on a gas-phase ion, C5H13N2O (charge +1).

Computed properties:
Molar mass, Da: 117.2
SMILES: [NH3+]CCNCCC=O
LUMO, Ha: -0.124
HOMO level, eV: -13.0
Kohn-Sham gap, eV: 9.63

Structure (ORCA input):
```
! wB97M-V def2-TZVPD RIJCOSX def2/J DEFGRID3
* xyz 1 1
N 1.94 -1.60 -0.84
C 2.60 -0.56 0.06
C 1.56 0.08 1.01
N 0.26 0.06 0.33
C -0.92 0.17 1.21
C -2.16 -0.07 0.39
C -2.41 1.04 -0.68
O -1.52 1.37 -1.43
H 2.51 -1.76 -1.68
H 1.08 -1.16 -1.20
H 1.63 -2.45 -0.35
H 3.16 0.23 -0.56
H 3.47 -1.00 0.61
H 1.47 -0.38 2.02
H 2.09 1.06 1.12
H 0.16 0.79 -0.40
H -0.97 1.15 1.79
H -0.80 -0.62 1.98
H -3.07 -0.18 1.01
H -2.19 -1.01 -0.19
H -3.44 1.32 -0.94
*
```

---

Relative energies in hartree: version a 0.0050; version b 0.0000

---

Version a
ORCA calculation (ωB97M-V/def2-TZVPD) on 6 unconnected molecules or ions with the total composition C16H44O6.

Computed properties:
Molar mass, Da: 332.5
SMILES: CC(C)O.CC(C)O.CC(C)O.CC(C)O.CC(C)O.CO
LUMO, Ha: 0.013
HOMO level, eV: -9.3
Kohn-Sham gap, eV: 9.66

Structure (ORCA input):
```
! wB97M-V def2-TZVPD RIJCOSX def2/J DEFGRID3
* xyz 0 1
C -5.72 -8.86 -23.06
C -6.74 -9.91 -23.27
C -6.27 -10.88 -24.30
O -7.12 -10.49 -21.96
H -4.75 -9.17 -22.66
H -6.17 -8.14 -22.38
H -5.60 -8.33 -24.00
H -7.60 -9.33 -23.60
H -5.76 -10.45 -25.16
H -7.13 -11.46 -24.61
H -5.50 -11.55 -23.90
H -7.75 -11.16 -22.25
C -6.58 -15.82 -17.75
C -5.26 -15.15 -18.23
C -5.53 -14.03 -19.18
O -4.58 -14.73 -17.12
H -7.22 -15.12 -17.22
H -6.41 -16.66 -17.08
H -7.06 -16.00 -18.71
H -4.61 -15.83 -18.77
H -6.30 -13.38 -18.78
H -5.88 -14.37 -20.15
H -4.63 -13.43 -19.27
H -4.81 -13.82 -16.93
C -6.19 -10.08 -15.86
C -4.96 -10.82 -15.47
C -5.23 -11.67 -14.19
O -4.65 -11.74 -16.46
H -5.95 -9.47 -16.72
H -6.51 -9.46 -15.02
H -7.00 -10.76 -16.13
H -4.21 -10.03 -15.37
H -5.55 -11.12 -13.30
H -4.41 -12.29 -13.85
H -5.98 -12.41 -14.47
H -4.68 -11.41 -17.36
C -8.31 -9.65 -19.07
C -9.07 -8.42 -19.65
C -9.45 -7.42 -18.60
O -8.17 -7.88 -20.56
H -8.11 -10.36 -19.86
H -8.75 -10.23 -18.26
H -7.38 -9.29 -18.64
H -9.91 -8.95 -20.11
H -10.15 -7.85 -17.88
H -10.09 -6.63 -18.99
H -8.54 -7.15 -18.06
H -7.76 -8.59 -21.05
C -3.35 -5.53 -19.85
C -3.08 -6.61 -18.96
C -1.73 -7.31 -19.41
O -2.86 -6.32 -17.58
H -3.42 -5.80 -20.91
H -2.54 -4.81 -19.91
H -4.28 -5.09 -19.49
H -4.00 -7.19 -18.99
H -1.55 -8.18 -18.77
H -0.88 -6.63 -19.37
H -1.91 -7.84 -20.34
H -2.06 -5.78 -17.58
C -4.18 -10.15 -19.74
O -5.21 -10.85 -19.07
H -4.35 -9.07 -19.76
H -3.18 -10.35 -19.35
H -4.24 -10.47 -20.78
H -5.98 -10.82 -19.64
*
```

---

Version b
ORCA calculation (ωB97M-V/def2-TZVPD) on 6 unconnected molecules or ions with the total composition C16H44O6.

Computed properties:
Molar mass, Da: 332.5
SMILES: CC(C)O.CC(C)O.CC(C)O.CC(C)O.CC(C)O.CO
LUMO, Ha: 0.016
HOMO level, eV: -9.3
Kohn-Sham gap, eV: 9.78

Structure (ORCA input):
```
! wB97M-V def2-TZVPD RIJCOSX def2/J DEFGRID3
* xyz 0 1
C 3.24 -2.71 -5.35
C 2.21 -1.70 -4.91
C 1.46 -2.28 -3.76
O 2.52 -0.56 -4.52
H 2.87 -3.75 -5.56
H 3.91 -2.81 -4.56
H 3.70 -2.28 -6.30
H 1.51 -1.60 -5.74
H 2.16 -2.56 -2.98
H 0.90 -3.23 -4.01
H 0.68 -1.66 -3.36
H 1.68 -0.09 -4.55
C -2.10 -0.74 2.73
C -1.65 -0.26 4.08
C -2.11 -1.20 5.23
O -0.46 -0.05 4.30
H -3.13 -0.52 2.57
H -1.85 -1.87 2.66
H -1.58 -0.32 1.94
Assignment
Duplicate the whole of the notes further above character by character.
Outcome
Version a
ORCA calculation (ωB97M-V/def2-TZVPD) on a gas-phase ion, C5H13N2O (charge +1).

Computed properties:
Molar mass, Da: 117.2
SMILES: C[C@H](C=O)NCC[NH3+]
LUMO, Ha: -0.131
HOMO level, eV: -13.4
Kohn-Sham gap, eV: 9.85

Structure (ORCA input):
```
! wB97M-V def2-TZVPD RIJCOSX def2/J DEFGRID3
* xyz 1 1
C 0.07 -0.31 -2.53
C 0.53 0.67 -1.45
C 1.76 0.26 -0.65
O 2.10 -0.88 -0.47
N -0.40 1.01 -0.34
C -0.95 -0.24 0.27
C -1.11 -0.01 1.76
N 0.17 -0.39 2.50
H 0.53 -1.29 -2.39
H -1.01 -0.32 -2.54
H 0.41 0.01 -3.51
H 0.80 1.61 -1.92
H 2.31 1.12 -0.21
H -1.20 1.47 -0.77
H -1.88 -0.54 -0.20
H -0.17 -1.00 0.18
H -1.30 1.03 2.02
H -1.96 -0.54 2.21
H 0.42 0.35 3.15
H 0.90 -0.73 1.87
H 0.00 -1.26 3.01
*
```

---

Version b
ORCA calculation (ωB97M-V/def2-TZVPD) on a gas-phase ion, C5H13N2O (charge +1).

Computed properties:
Molar mass, Da: 117.2
SMILES: [NH3+]CCNCCC=O
LUMO, Ha: -0.124
HOMO level, eV: -13.0
Kohn-Sham gap, eV: 9.63

Structure (ORCA input):
```
! wB97M-V def2-TZVPD RIJCOSX def2/J DEFGRID3
* xyz 1 1
N 1.94 -1.60 -0.84
C 2.60 -0.56 0.06
C 1.56 0.08 1.01
N 0.26 0.06 0.33
C -0.92 0.17 1.21
C -2.16 -0.07 0.39
C -2.41 1.04 -0.68
O -1.52 1.37 -1.43
H 2.51 -1.76 -1.68
H 1.08 -1.16 -1.20
H 1.63 -2.45 -0.35
H 3.16 0.23 -0.56
H 3.47 -1.00 0.61
H 1.47 -0.38 2.02
H 2.09 1.06 1.12
H 0.16 0.79 -0.40
H -0.97 1.15 1.79
H -0.80 -0.62 1.98
H -3.07 -0.18 1.01
H -2.19 -1.01 -0.19
H -3.44 1.32 -0.94
*
```

---

Relative energies in hartree: version a 0.0050; version b 0.0000

---

Version a
ORCA calculation (ωB97M-V/def2-TZVPD) on 6 unconnected molecules or ions with the total composition C16H44O6.

Computed properties:
Molar mass, Da: 332.5
SMILES: CC(C)O.CC(C)O.CC(C)O.CC(C)O.CC(C)O.CO
LUMO, Ha: 0.013
HOMO level, eV: -9.3
Kohn-Sham gap, eV: 9.66

Structure (ORCA input):
```
! wB97M-V def2-TZVPD RIJCOSX def2/J DEFGRID3
* xyz 0 1
C -5.72 -8.86 -23.06
C -6.74 -9.91 -23.27
C -6.27 -10.88 -24.30
O -7.12 -10.49 -21.96
H -4.75 -9.17 -22.66
H -6.17 -8.14 -22.38
H -5.60 -8.33 -24.00
H -7.60 -9.33 -23.60
H -5.76 -10.45 -25.16
H -7.13 -11.46 -24.61
H -5.50 -11.55 -23.90
H -7.75 -11.16 -22.25
C -6.58 -15.82 -17.75
C -5.26 -15.15 -18.23
C -5.53 -14.03 -19.18
O -4.58 -14.73 -17.12
H -7.22 -15.12 -17.22
H -6.41 -16.66 -17.08
H -7.06 -16.00 -18.71
H -4.61 -15.83 -18.77
H -6.30 -13.38 -18.78
H -5.88 -14.37 -20.15
H -4.63 -13.43 -19.27
H -4.81 -13.82 -16.93
C -6.19 -10.08 -15.86
C -4.96 -10.82 -15.47
C -5.23 -11.67 -14.19
O -4.65 -11.74 -16.46
H -5.95 -9.47 -16.72
H -6.51 -9.46 -15.02
H -7.00 -10.76 -16.13
H -4.21 -10.03 -15.37
H -5.55 -11.12 -13.30
H -4.41 -12.29 -13.85
H -5.98 -12.41 -14.47
H -4.68 -11.41 -17.36
C -8.31 -9.65 -19.07
C -9.07 -8.42 -19.65
C -9.45 -7.42 -18.60
O -8.17 -7.88 -20.56
H -8.11 -10.36 -19.86
H -8.75 -10.23 -18.26
H -7.38 -9.29 -18.64
H -9.91 -8.95 -20.11
H -10.15 -7.85 -17.88
H -10.09 -6.63 -18.99
H -8.54 -7.15 -18.06
H -7.76 -8.59 -21.05
C -3.35 -5.53 -19.85
C -3.08 -6.61 -18.96
C -1.73 -7.31 -19.41
O -2.86 -6.32 -17.58
H -3.42 -5.80 -20.91
H -2.54 -4.81 -19.91
H -4.28 -5.09 -19.49
H -4.00 -7.19 -18.99
H -1.55 -8.18 -18.77
H -0.88 -6.63 -19.37
H -1.91 -7.84 -20.34
H -2.06 -5.78 -17.58
C -4.18 -10.15 -19.74
O -5.21 -10.85 -19.07
H -4.35 -9.07 -19.76
H -3.18 -10.35 -19.35
H -4.24 -10.47 -20.78
H -5.98 -10.82 -19.64
*
```

---

Version b
ORCA calculation (ωB97M-V/def2-TZVPD) on 6 unconnected molecules or ions with the total composition C16H44O6.

Computed properties:
Molar mass, Da: 332.5
SMILES: CC(C)O.CC(C)O.CC(C)O.CC(C)O.CC(C)O.CO
LUMO, Ha: 0.016
HOMO level, eV: -9.3
Kohn-Sham gap, eV: 9.78

Structure (ORCA input):
```
! wB97M-V def2-TZVPD RIJCOSX def2/J DEFGRID3
* xyz 0 1
C 3.24 -2.71 -5.35
C 2.21 -1.70 -4.91
C 1.46 -2.28 -3.76
O 2.52 -0.56 -4.52
H 2.87 -3.75 -5.56
H 3.91 -2.81 -4.56
H 3.70 -2.28 -6.30
H 1.51 -1.60 -5.74
H 2.16 -2.56 -2.98
H 0.90 -3.23 -4.01
H 0.68 -1.66 -3.36
H 1.68 -0.09 -4.55
C -2.10 -0.74 2.73
C -1.65 -0.26 4.08
C -2.11 -1.20 5.23
O -0.46 -0.05 4.30
H -3.13 -0.52 2.57
H -1.85 -1.87 2.66
H -1.58 -0.32 1.94